Wednesday, February 24, 2021

Against the Grain Quilt Along - Fabric Prep

 One of my favorite things about a quilt along is picking out fabrics. It's also the most difficult!

For Against the Grain you will only need three fabrics, though you could go with just two if you would like. What I love about Against the Grain is that it really does work well with so many color combinations. In this Fabric Prep post we will talk fabric combos, but we will also talk about how to prep your fabric for a quilt along. Have I mentioned this is my favorite part of a quilt along? Let's get started!

Affiliate Disclosure: This post contains Affiliate Links. When purchases are made through these links I receive a small commission at no extra cost to you. Your purchases help support my small business and keep my husband's head from exploding every time a new quilting notion arrives in our mailbox. Thank you for that. Find out more about Affiliate Links Here.

For this quilt along I have chosen to make a quilt for my husband. I have never made one for him and it's probably time. I've chosen to go with light grey for the background, dark grey for main signature blocks and my splash color will be yellow. He is colorblind and yellow is the only color he truly "sees" so I think it's fitting that it is the pop of color for his quilt.

                                                            Aquarius Batiks Seamist Big Tropical

When choosing colors for a three color quilt I tend to go the safe route and choose a neutral and two coordinating colors. While the above fabric is gorgeous, I don't recommend large prints for this pattern as it becomes busy and your eye doesn't have a place to "rest."

What comes next are crystal structures, not part of the page.
- - -
Nd4Ho2Th | PBE | relaxed

Structure (extended XYZ):
```
14
Lattice="6.8076 0.0000 0.0000 3.4038 8.3383 -1.1948 3.4038 1.5845 8.2731" Properties=species:S:1:pos:R:3 pbc="T T T"
Nd 8.6863 3.1537 5.8211
Nd 4.9289 6.7690 1.2572
Nd 6.8076 8.3744 6.0163
Nd 3.4038 3.4532 2.4207
Nd 8.6863 6.7690 1.2572
Nd 10.2114 6.4696 4.6575
Nd 4.9289 3.1537 5.8211
Nd 6.8076 1.5484 1.0620
Ho 3.4038 0.0000 0.0000
Ho 6.8076 4.9614 3.5391
Ho 6.8076 8.8445 2.7376
Ho 6.8076 1.0783 4.3406
Th 5.1057 4.1691 -0.5974
Th 1.7019 4.1691 -0.5974
```

- Calculated formation energy: 298.2 meV per atom
- Space group: No. 74
- Energy above the lowest structure with this stoichiometry: 0.2565 eV per atom
- Total magnetization: 0.0000 μB per atom


MnCrFe | PBE | relaxed

Structure (extended XYZ):
```
6
Lattice="2.5944 -0.3347 -0.2645 -0.5268 4.9708 -1.6724 -0.3772 0.6889 5.2122" Properties=species:S:1:pos:R:3 pbc="T T T"
Cr -0.0806 2.6937 0.4335
Cr 1.2556 1.4113 2.0941
Mn 1.9551 4.4416 -0.8806
Mn 0.7706 1.3805 4.4425
Fe 0.1023 3.4332 3.3199
Fe 1.3624 4.3300 1.4766
```

- Calculated formation energy: 190.9 meV per atom
- Space group: No. 9
- Energy above the lowest structure with this stoichiometry: 0.1284 eV per atom
- Total magnetization: 0.8533 μB per atom

~~~~~

(1)
## FeSb2Te (PBE)

Data for a geometry-optimized FeSb2Te structure.

symmetry: No. 12
E_form (uncorrected): 259 meV per atom

The structure in extended XYZ format:
```
4
Lattice="-4.596 -0.840 -4.816 -6.283 -1.153 -2.055 -2.344 4.175 -0.959" Properties=species:S:1:pos:R:3 pbc="T T T"
Sb -2.962 3.728 -1.387
Sb -5.993 1.537 -3.487
Fe -9.917 1.636 -5.873
Te -3.306 0.545 -1.958
```

***

(2)
## CoCuHgOsRu (PBE)

Data for a geometry-optimized CoCuHgOsRu structure.

energy relative to the elements: 43.4 kJ per mole of atoms
symmetry: No. 38

The structure in extended XYZ format:
```
10
Lattice="2.730 0.000 0.000 0.000 4.075 0.000 0.000 0.000 13.498" Properties=species:S:1:pos:R:3 pbc="T T T"
Co 1.365 0.000 2.759
Ru 1.365 2.037 4.062
Cu 0.000 2.037 1.741
Cu 0.000 0.000 8.490
Os 0.000 0.000 5.008
Co 1.365 2.037 9.508
Ru 1.365 0.000 10.811
Os 0.000 2.037 11.757
Hg 1.365 2.037 6.884
Hg 1.365 0.000 0.135
```

***

(3)
## Li4CrTc (PBE)

Data for a geometry-optimized Li4CrTc structure.

energy relative to the elements: 48.7 kJ per mole of atoms
symmetry: No. 216

The structure in extended XYZ format:
```
6
Lattice="-1.966 -3.746 2.456 -3.389 -2.811 -2.130 1.083 -4.597 -1.273" Properties=species:S:1:pos:R:3 pbc="T T T"
Li -1.689 -5.101 -1.814
Cr 0.000 0.000 0.000
Tc -1.068 -2.789 -0.237
Li -0.981 -5.566 0.468
Li -3.207 -4.677 0.042
Li -2.668 -6.965 -0.592
```

***

(4)
## MgAl5S8 (PBE)

Data for a geometry-optimized MgAl5S8 structure.

symmetry: No. 216
E_form (uncorrected): -1042 meV per atom

The structure in extended XYZ format:
```
14
Lattice="-2.700 4.470 4.935 -2.769 -2.621 6.090 3.446 0.981 6.228" Properties=species:S:1:pos:R:3 pbc="T T T"
S -2.014 3.134 8.911
S -2.045 -0.105 9.438
S -0.487 0.356 12.648
Al -2.939 1.282 7.693
- - -

Bella Solids Bluebell

If I am stepping out of my comfort zone I will use a "color" as my neutral. This tends to be a light blue or green for me, but recently I was drawn to a light orange for a background color.

Whether you choose to make this for an infant, toddle, child, tween, teen, young adult (hello school colors and graduation!) or adult, the color combination you choose will make it uniquely theirs. See below for the fabric requirements.

You've chosen your fabrics, now what? It's time to get them ready for cutting.

Washing fabric before hand is always a topic that creates discussion. I feel it is truly up the the individual. Everyone has their reasons to wash or not to wash, and it comes from their experiences. For those who would like to know, I don't prewash. I've even stopped washing flannel *IF* I know all of th flannel I'm using has not been washed. If I think it may have been washed then I wash it all to keep the shrinkage the same. Whether you wash or not, pressing the fabric is the next important step.

Best Press

I starch every piece of fabric before I cut. I like the added accuracy it gives me when cutting and stitching. I use Best Press because that's easiest for me. I also use a spray mister. I love my mister. It gives me more control on how much starch I am using and where it's going.  With the mister I no longer over use the starch and I've had the same gallon of starch for 2 years now, and like I said, I starch everything. Don't use the starch on pieces you have already cut and/or stitched. Starch tightens up the threads and can change the size of the unit you just worked so hard to piece accurately.

I recommend using a hot, dry iron for pressing. If you have creases that are tough to get out, spritz them with a bit of water, press, then starch and press again. I don't like to use steam, especially on units and blocks that have already been pieced, because it can distort the pieces.

Once you have starched your fabrics and they have cooled, you can go ahead and fold them and get them ready for the next step. If they end up sitting for a few days, or even a few weeks, just hit them with a hot, dry iron again. No need to use more starch, it's already in the fabric and it will press neatly without much effort.

Once you have your fabric prepped, take a look at your bobbins. If you are running low on full bobbins take a few minutes and fill them now. You will love having full bobbins while you stitch and stitch and stitch! I usually have 10 - 20 filled at one time. When I run out of top thread, I will take some time to wind bobbins again, so I never have to stop and wind bobbins while I'm piecing because I ran out. I piece everything using grey polyester thread and I love my Bobbinsaver for holding my bobbins. 

Next, check your rotary blade. When was the last time you changed it? There is nothing more frustrating than trying to cut fabric with a dull blade and having to go over the cuts again and again. Change it out before you get frustrated! I bought these over 2 years ago and still haven't had to buy another set.

Last, clean your machine! Grab that craft pipe cleaner and give a good cleaning. Change out that needle that has been thumping through your fabric for months now and start your quilt along with a happy little machine.

Now we are ready for the Against the Grain Quilt Along! Come back March 10th to get started and for cutting tips.

Haven't picked up your pattern yet? No problem, you can find them here:

Printed - Etsy

PDF - Etsy

PDF - Payhip

Make something Extraordinary!


New to Patterns By Jen?

Find paper and digital patterns in my Etsy shop.

Find fun PBJ merchandise at Teespring

Join the Quilt and Learn with Patterns By Jen Facebook page.

Follow me on Instagram and Facebook for daily sneak peeks and updates. 

Sunday, February 21, 2021

February 2021 Monthly Color Challenge Link Up

It's time for the February 2021 Monthly Color Challenge Link Up


This month's block was a little more challenging, but I hope you enjoyed it.

The blocks being shared on Instgram and in the Quilt and Learn with Patterns By Jen group have been so amazing. They have brightened up the whole month. If you are on Instagram follow #2021MonthlyColorChallenge to see all of the blocks.

Quarter 1 Sponsors

Bea Quilter - PDF Pattern

Love to Color My World - PDF Pattern

Designs By Sarah J - Fabric Bundle and Book*

Cherrywood Hand Dyed Fabric - Monty Fabric Bundle*

Benartex - Fabric Bundle*

Quilters Dream Batting - 60 x 46 Dream Angel 100% Flame Retardant Fibers*

Quilters Dream Batting - 60 x 46 Dream Wool*

The Warm Company - 55 x 60 batting 80/20*

Appliques Quilts and More - $10 gift certificate

DayBrook Designs - 2 PDF Patterns

Patterns By Jen - PDF Pattern

Those marked with * are for US residents only. Prize laws vary throughout different countries.

The Link Up is open through February 28th. If you have a problem linking up, please use the "question mark" button next to the log out button. If you are trying from your phone, try it from a laptop/tablet if you have one.

Good luck and thank you so much for stitching along with me!

Missed the block? Find it HERE!

Happy Stitching!

New to Patterns By Jen?

Find paper and digital patterns in my Etsy shop.

Find fun PBJ merchandise at Teespring

Join the Quilt and Learn with Patterns By Jen Facebook page.

Follow me on Instagram and Facebook for daily sneak peeks and updates. 

Please make sure to add your first name!

Wednesday, February 17, 2021

Introducing Squared Again - Quick and Easy Quilts

 I am excited to introduce you to Squared Again.

The inspiration for this quilted came a couple of summers ago in a place far, far away. Just kidding, it's not that far. It starts with a summer storm, but to hear the rest of the story you will need to pick up the April/May 2021 Issue of Quick and Easy Quilts from Fons and Porter.

Affiliate Disclosure: This post contains Affiliate Links. When purchases are made through these links I receive a small commission at no extra cost to you. Your purchases help support my small business and keep my husband's head from exploding every time a new quilting notion arrives in our mailbox. Thank you for that. Find out more about Affiliate Links Here.

What I love about this quilt is the simplicity and clean lines.

Fabrics used are from Simple Simon & Co for Riley Blake Designs; Bloom and Grow. If you have some large print fabrics they play well with this pattern.

Quilting was done by Tracy Veglahn of Fabrics Plus in Marshall, MN. We chose a soft yellow for the thread and I think it really shows off the pretty quilting pattern while still blending into the the actual design.

Make something Extraordinary!

New to Patterns By Jen?

Find paper and digital patterns, gifts and more in my Etsy shop.

Find fun PBJ merchandise at Teespring

Join the Quilt and Learn with Patterns By Jen Facebook page.

Follow me on Instagram and Facebook for daily sneak peeks and updates.

Thursday, February 11, 2021

Introducing Aqua Oasis - American Patchwork and Quilting April 2021

 Who is ready for a little calm in their day?

Ahhhhhhh!!!!! There's just something about soft aqua and white that brings me back to the ocean. Which I visited many, many years ago. I should probably go back since it made such an impression.

You can find it in the April 2021 issue of Better Homes and Garden's American Patchwork and Quilting. It "hits stands" February 12! To see all of the patterns included you can visit here.

Aqua Oasis is a large block quilt that, while it may look difficult, comes together quickly. It's the perfect size for enjoying an evening on the beach, or if you live where I do, huddling under with your special someone... or cat.. or dog...or glass of wine.....

Above pictures:
 Used with permission from American Patchwork & Quilting magazine. ©2021 Meredith Corporation. All rights reserved.

Psssst, did you know the "I sipped" wine/water glass is on sale through February 13th? Just incase you wanted to surprise your bestie, or needed a wine glass to snuggle with under your finished quilts. 😉

Quilting was done by Tracy Veglahn of Fabrics Plus in Marshall, MN. I love that we went with a simple pattern, but used the aqua thread. That's stepping out of my matchy, matchy comfort zone, even if it was a very, very light aqua thread.

Look for the April 2021 Patchwork and Quilting issue this Friday (February 12, 2021)!

Happy Stitching!

New to Patterns By Jen?

Find paper and digital patterns, gifts and more in my Etsy shop.

Find fun PBJ merchandise at Teespring

Join the Quilt and Learn with Patterns By Jen Facebook page.

Follow me on Instagram and Facebook for daily sneak peeks and updates.

Wednesday, February 10, 2021

Against the Grain Quilt Along

 Who is ready for a new quilt along?

The Against the Grain Quilt Along will start February 24 and run every two weeks through May 26. This pattern is for quilters of any skill.

Affiliate Disclosure: This post contains Affiliate Links. When purchases are made through these links I receive a small commission at no extra cost to you. Your purchases help support my small business and keep my husband's head from exploding every time a new quilting notion arrives in our mailbox. Thank you for that. Find out more about Affiliate Links Here.

I will be making this quilt for my husband who always supports my efforts and still doesn't have his own quilt to snuggle under.

Against the Grain makes a simple statement and your choice of color placement makes that statement come alive. We will talk fabrics and fabric prep February 24.

Needed Supplies

Make sure to get your Against the Grain pattern:

Etsy - Printed

Etsy - PDF

Payhip - PDF

Fabric Requirements (shown below)

Cutting mat

Rotary cutter


24 1/2" long ruler

6 1/2" ruler

I have had quilters cut with scissors and stitch by hand and if that's your jam I say go for it!


February 24 - Fabric talk

March 10 - Fabric cutting

March 24 - Signature Blocks

April 7 - Strip Piecing

April 21 - Assemble Blocks

May 5 - Quilt Layout and Quilting Prep

May 19 - Quilting, Binding and Label

Joining in?

If you are stitching along with us I hope you share your progress! Use #againstthegrainquiltalong when you share on social media so I can see your work.

You are also invited to share in the Quilt and Learn with Patterns By Jen Facebook Page. We love to ooo and ahhh over your pretty work.

What are you hoping to learn, or get, from this quilt along? Let me know in the comments!

Want to get a head start on finishing your quilt, but aren't sure if free motion quilting is for you? Check out String and a Story's HollyAnne and her Introduction to Free Motion Mini Class! It's available for you to take at your convenience and is a great way to get ready to finish your Against the Grain Quilt.

Get your pattern and come back here to talk fabric on February 24th!

Make something extraordinary!


New to Patterns By Jen?

Find paper and digital patterns, gifts and more in my Etsy shop.

Find fun PBJ merchandise at Teespring

Join the Quilt and Learn with Patterns By Jen Facebook page.

Follow me on Instagram and Facebook for daily sneak peeks and updates.

Monday, February 1, 2021

February 2021 Monthly Color Challlenge

 It's time for the next block in the 2021 Monthly Color Challenge and it's going to be bright and shiny.

Yellow is such a cheerful color. It was a joy to pull this color and work with it.
We are taking our colors from fruits and veggies this year and throughout the year various bloggers will share recipes with you. 

This month the lemon is our inspiration and if you enjoyed the eggplant recipes shared last month I'm sure you will enjoy the tangy recipes shared this month. This block is a bit more time consuming than the first one, but I love the look of it.

*Don't forget! Each block comes with a How To video right in the instructions.*

February Bloggers

Visit the February bloggers for inspiration and a recipe or two!

Frances - Frances Quilts

Ashli - Quilt2EndAlz

This year two block sizes are offered, you can choose to make the 12" finished blocks or the 6" finished blocks, or both! If you have enjoyed the Monthly Color Challenge, but are looking for a bit more of a challenge, the 6" blocks are for you!

Quarter 1 Sponsors

The Monthly Color Challenge has a great group of sponsors who have given generously to make this year an amazing year for you. Winners are chosen quarterly; April 1, July 1, Oct 1 and Jan 1, 2022. To enter you simply add your block to the Link Up at the end of each month. One entry per quilter and it needs to be the block from the current month. Finish each month and you will have 3 entries each quarter!

Bea Quilter - PDF Pattern

Love to Color My World - PDF Pattern

Designs By Sarah J - Fabric Bundle and Book*

Cherrywood Hand Dyed Fabric - Monty Fabric Bundle*

Benartex - Fabric Bundle*

Quilters Dream Batting - 60 x 46 Dream Angel 100% Flame Retardant Fibers*

Quilters Dream Batting - 60 x 46 Dream Wool*

The Warm Company - 55 x 60 batting 80/20*

Appliques Quilts and More - $10 gift certificate

DayBrook Designs - 2 PDF Patterns

Patterns By Jen - PDF Patterns

Those marked with * are for US residents only. Prize laws vary throughout different countries.


When drawing your diagonal lines move the ruler over just a teeny bit, don't line it up right on the corner.

That way your drawn line *will* be right on the corner.

Finger press your strip piecing to reduce stretching of fabric.

Trim off as little as possible when getting ready to sub-cut the strips. Remember to use the seams as your guides for the straight cuts. The "How To" video included in the instructions talks about this.

Chain piece whenever possible.

If you are a beginner and want more tips see Beginners Unite!

Ready to get your pattern? Go to Payhip and download it now! The block is free for the month of February.

To have the block sent directly to your email sign up HERE.

It's too late to have the January or February blocks emailed to you but download it from the link above and get ready to have the rest of the year arrive in your email inbox.

NOTE: If you signed up for the 2020 Monthly Color Challenge Emails you do NOT have to sign up again.

Happy Stitching!

New to Patterns By Jen?

Find paper and digital patterns, gifts and more in my Etsy shop.

Find fun PBJ merchandise at Teespring

Join the Quilt and Learn with Patterns By Jen Facebook page.

Follow me on Instagram and Facebook for daily sneak peeks and updates.